Part 24 (1/2)

Remember that those who are thoroughly in love will respect the honor and virtue of each other. The purity of woman is doubly attractive, and sensuality in her becomes doubly offensive and repellent. It is contrary to the laws of nature for a man to love a harlot.

13. A SEDUCER.--The punishment of the seducer is best given by O. S.

Fowler, in his ”Creative Science.” The sin and punishment rest on all you who call out only to blight a trusting, innocent, loving virgin's affections, and then discard her. You deserve to be horsewhipped by her father, cowhided by her brothers, branded villain by her mother, cursed by herself, and sent to the whipping-post and dungeon. {169}

'''
1.
Computed powder diffraction line list of PdPtF6 for Cu Kα (λ = 1.5418 Å), from a structure optimized by DFT (GGA-PBE).
Lines closer than 0.1° are merged.

abc: 5.6734 5.6734 5.6734
angles: 54.43 54.43 54.43
Positions (direct):
Pd1 0.0000 0.0000 0.0000
Pt1 0.5000 0.5000 0.5000
F1 0.1096 0.4193 0.7320
F2 0.2680 0.8904 0.5807
F3 0.4193 0.7320 0.1096
F4 0.5807 0.2680 0.8904
F5 0.7320 0.1096 0.4193
F6 0.8904 0.5807 0.2680

Most intense lines, 2θ = 5–70°, sorted by position:
2θ/deg  d/Å  Rel. int.
23.3  3.816  100
31.8  2.816  43
34.6  2.595  23
42.1  2.146  19
47.7  1.908  15
51.8  1.765  31
55.6  1.654  18
60.2  1.537  14

2.
Computed powder diffraction line list of Rb3PdF6 for Cu Kα (λ = 1.5418 Å), from a structure optimized by DFT (GGA-PBE).
Lines closer than 0.1° are merged.

abc: 6.6314 6.6314 6.6314
angles: 60.00 60.00 60.00
Positions (direct):
Rb1 0.0000 0.0000 0.0000
Rb2 0.2500 0.2500 0.2500
Rb3 0.7500 0.7500 0.7500
Pd1 0.5000 0.5000 0.5000
F1 0.2803 0.2803 0.7197
F2 0.2803 0.7197 0.2803
F3 0.2803 0.7197 0.7197
F4 0.7197 0.2803 0.2803
F5 0.7197 0.2803 0.7197
F6 0.7197 0.7197 0.2803

Most intense lines, 2θ = 5–70°, sorted by position:
2θ/deg  d/Å  Rel. int.
16.4  5.414  4
18.9  4.689  5
26.9  3.316  100
38.4  2.345  39
47.5  1.914  39
55.4  1.658  24
62.7  1.483  20
69.4  1.354  7

3.
Computed powder diffraction line list of Rb3PdF5 for Cu Kα (λ = 1.5418 Å), from a structure optimized by DFT (GGA-PBE).
Lines closer than 0.1° are merged.

abc: 7.6122 7.6122 6.5458
angles: 90.00 90.00 90.00
Positions (direct):
Rb1 0.0000 0.0000 0.0000
Rb2 0.1763 0.3237 0.5000
Rb3 0.3237 0.8237 0.5000
Rb4 0.5000 0.5000 0.0000
Rb5 0.6763 0.1763 0.5000
Rb6 0.8237 0.6763 0.5000
Pd1 0.0000 0.5000 0.0000
Pd2 0.5000 0.0000 0.0000
F1 0.0000 0.0000 0.5000
F2 0.1322 0.6322 0.2129
F3 0.1322 0.6322 0.7871
F4 0.3678 0.1322 0.2129
F5 0.3678 0.1322 0.7871
F6 0.5000 0.5000 0.5000
F7 0.6322 0.8678 0.2129
F8 0.6322 0.8678 0.7871
F9 0.8678 0.3678 0.2129
F10 0.8678 0.3678 0.7871

Most intense lines, 2θ = 5–70°, sorted by position:
2θ/deg  d/Å  Rel. int.
27.1  3.290  100
27.2  3.273  32
29.6  3.020  39
33.3  2.691  29
38.1  2.359  32
43.5  2.079  27
48.1  1.893  21
55.8  1.646  16

4.
Computed powder diffraction line list of Rb2TlPdF6 for Cu Kα (λ = 1.5418 Å), from a structure optimized by DFT (GGA-PBE).
Lines closer than 0.1° are merged.

abc: 6.5094 6.5094 6.5094
angles: 60.00 60.00 60.00
Positions (direct):
Rb1 0.2500 0.2500 0.2500
Rb2 0.7500 0.7500 0.7500
Tl1 0.0000 0.0000 0.0000
Pd1 0.5000 0.5000 0.5000
F1 0.2717 0.2717 0.7283
F2 0.2717 0.7283 0.2717
F3 0.2717 0.7283 0.7283
F4 0.7283 0.2717 0.2717
F5 0.7283 0.2717 0.7283
F6 0.7283 0.7283 0.2717

Most intense lines, 2θ = 5–70°, sorted by position:
2θ/deg  d/Å  Rel. int.
19.3  4.603  19
27.4  3.255  100
32.3  2.776  6
39.1  2.301  34
44.0  2.058  8
48.4  1.879  42
56.6  1.627  22
64.0  1.456  20

5.
Computed powder diffraction line list of PrF3 for Cu Kα (λ = 1.5418 Å), from a structure optimized by DFT (GGA-PBE).
'''

14. CAUTION.--A young lady should never encourage the attentions of a young man, who shows no interest in his sisters. If a young man is indifferent to his sisters he will become indifferent to his wife as soon as the honey moon is over. There are few if any exceptions to this rule. The brother who will not be kind and loving in his mother's home will make a very poor husband.

15. THE OLD RULE: ”Never marry a man that does not make his mother a Christmas present every Christmas,” is a good one. The young lady makes no mistake in uniting her destinies with the man that loves his mother and respects his sisters and brothers.



[Ill.u.s.tration: A CHINESE BRIDE AND GROOM.]

1. Marry in your own position in life. If there is any difference in social position, it is better that the husband should be the superior. A woman does not like to look down upon her husband, and to be obliged to do so is a poor guarantee for their happiness.

2. It is best to marry persons of your own faith and religious convictions, unless one is willing to adopt those of the other. Difference of faith is apt to divide families, and to produce great trouble in after life. A pious woman should beware of marrying an irreligious man. {171}

3. Don't be afraid of marrying a poor man or woman. Good health, cheerful disposition, stout hearts and industrious hands will bring happiness and comfort.

4. Bright red hair should marry jet black, and jet black auburn or bright red, etc. And the more red-faced and bearded or impulsive a man, the more dark, calm, cool and quiet should his wife be; and vice versa. The florid should not marry the florid, but those who are dark, in proportion as they themselves are light.

5. Red-whiskered men should marry brunettes, but no blondes; the color of the whiskers being more determinate of the temperament than that of the hair.

6. The color of the eyes is still more important. Gray eyes must marry some other color, almost any other except gray; and so of blue, dark, hazel, etc.

7. Those very fleshy should not marry those equally so, but those too spare and slim; and this is doubly true of females. A spare man is much better adapted to a fleshy woman than a round-favored man. Two who are short, thick-set and stocky, should not unite in marriage, but should choose those differently const.i.tuted; but on no account one of their own make. And, in general, those predisposed to corpulence are therefore less inclined to marriage.

8. Those with little hair or beard should marry those whose hair is naturally abundant; still those who once had plenty, but who have lost it, may marry those who are either bald or have but little; for in this, as in all other cases, all depends on what one is by nature, little on present states.

9. Those whose motive-temperament decidedly predominates, who are bony, only moderately fleshy, quite prominent-featured, Roman-nosed and muscular, should not marry those similarly formed.

10. Small, nervous men must not marry little, nervous or sanguine women, lest both they and their children have quite too much of the hot-headed and impulsive, and die suddenly.

[Ill.u.s.tration: Light, Life, Health and Beauty.]

11. Two very beautiful persons rarely do or should marry; nor two extra homely. The fact is a little singular that very handsome women, who of course can have their pick, rarely marry good-looking men, but generally give preference to those who are homely; because that {173} exquisiteness in which beauty originates naturally blends with that power which accompanies huge noses and disproportionate features.

12. Rapid movers, speakers, laughers, etc., should marry those who are calm and deliberate, and impulsives those who are stoical; while those who are medium may marry those who are either or neither, as they prefer.

• Someone pasted data records at this point:
- - -
Starting from DFT lattice parameters and positions (GGA-PBE), the powder XRD pattern of CsRe8 was calculated for Cu Kα.
No peak broadening, texture or thermal motion is included.

Top 12 peaks for 2θ = 10–90°, low angle first:
2theta, d [Å], Rel. int.
23.2, 3.830, 65
30.9, 2.895, 19
32.6, 2.747, 47
40.4, 2.232, 65
40.8, 2.211, 100
53.2, 1.723, 65
58.8, 1.571, 19
62.8, 1.480, 12
74.0, 1.281, 19
74.3, 1.277, 14
82.7, 1.167, 27
83.5, 1.158, 14

Crystal structure
```
data_CsRe8
_chemical_formula_sum 'Cs1 Re8'
_space_group_name_H-M_alt 'P 1'
_space_group_IT_number 1
_space_group_name_Hall 'P 1'
_cell_length_a 8.8457
_cell_length_b 8.8457
_cell_length_c 2.7473
_cell_angle_alpha 90.00
_cell_angle_beta 90.00
_cell_angle_gamma 120.00
loop_
_atom_site_label
_atom_site_type_symbol
_atom_site_fract_x
_atom_site_fract_y
_atom_site_fract_z
Cs1 Cs 0.0000 0.0000 0.0000
Re1 Re 0.1791 0.3581 0.5000
Re2 Re 0.1791 0.8209 0.5000
Re3 Re 0.3333 0.6667 0.5000
Re4 Re 0.3581 0.1791 0.5000
Re5 Re 0.6419 0.8209 0.5000
Re6 Re 0.6667 0.3333 0.5000
Re7 Re 0.8209 0.1791 0.5000
Re8 Re 0.8209 0.6419 0.5000
```

Starting from DFT lattice parameters and positions (GGA-PBE), the powder XRD pattern of Cs2ReS3 was calculated for Cu Kα.
No peak broadening, texture or thermal motion is included.

Top 12 peaks for 2θ = 10–90°, low angle first:
2theta, d [Å], Rel. int.
12.1, 7.330, 36
23.5, 3.778, 73
24.0, 3.705, 25
26.9, 3.317, 34
27.6, 3.235, 100
33.0, 2.712, 17
36.4, 2.471, 32
36.8, 2.443, 17
45.5, 1.993, 13
47.9, 1.899, 21
51.2, 1.784, 18
53.0, 1.728, 15

Crystal structure
```
data_Cs2ReS3
_chemical_formula_sum 'Cs4 Re2 S6'
_space_group_name_H-M_alt 'P 1'
_space_group_IT_number 1
_space_group_name_Hall 'P 1'
_cell_length_a 7.6165
_cell_length_b 7.6165
_cell_length_c 6.6335
_cell_angle_alpha 90.00
_cell_angle_beta 90.00
_cell_angle_gamma 74.24
loop_
_atom_site_label
_atom_site_type_symbol
_atom_site_fract_x
_atom_site_fract_y
_atom_site_fract_z
Cs1 Cs 0.0088 0.6685 0.7500
Cs2 Cs 0.3315 0.9912 0.7500
Cs3 Cs 0.6685 0.0088 0.2500
Cs4 Cs 0.9912 0.3315 0.2500
Re1 Re 0.4027 0.5973 0.2500
Re2 Re 0.5973 0.4027 0.7500
S1 S 0.1593 0.8407 0.2500
S2 S 0.3844 0.3844 0.0000
S3 S 0.3844 0.3844 0.5000
S4 S 0.6156 0.6156 0.0000
S5 S 0.6156 0.6156 0.5000
S6 S 0.8407 0.1593 0.7500
```

Starting from DFT lattice parameters and positions (GGA-PBE), the powder XRD pattern of Cs2ReSe2S was calculated for Cu Kα.
No peak broadening, texture or thermal motion is included.

Top 12 peaks for 2θ = 10–90°, low angle first:
2theta, d [Å], Rel. int.
12.1, 7.291, 28
13.9, 6.374, 19
14.6, 6.070, 26
14.9, 5.952, 20
21.3, 4.181, 20
22.7, 3.916, 31
23.4, 3.794, 29
24.1, 3.688, 100
25.4, 3.505, 54
25.9, 3.447, 47
39.9, 2.260, 27
46.4, 1.957, 18

Crystal structure
```
data_Cs2ReSe2S
_chemical_formula_sum 'Cs4 Re2 Se4 S2'
_space_group_name_H-M_alt 'P 1'
_space_group_IT_number 1
_space_group_name_Hall 'P 1'
_cell_length_a 7.3832
_cell_length_b 8.0818
_cell_length_c 9.1325
_cell_angle_alpha 74.65
_cell_angle_beta 67.33
- - -

13. Noses indicate characters by indicating the organisms and temperaments.

Accordingly, those noses especially marked either way should marry those having opposite nasal characteristics. Roman noses are adapted to those which turn up, and pug noses to those turning down; while straight noses may marry either.

14. Men who love to command must be especially careful not to marry imperious, women's-rights woman; while those who willingly ”obey order;”

need just such. Some men require a wife who shall take their part; yet all who do not need strong-willed women, should be careful how they marry them.

15. A sensible woman should not marry an obstinate but injudicious, unintelligent man; because she cannot long endure to see and help him blindly follow his poor, but spurn her good, plans.